Please print every line below that contains the word "factors".

┌──
Computed powder diffractogram
Compound: CaAsAu
Radiation: Cu Kα
Structure: DFT lattice parameters and positions (GGA-PBE)
Neutral-atom scattering factors, no anomalous dispersion.

Main lines, sorted by position (5 to 70 degrees two-theta):
2θ (°)	intensity
19.11	100
23.20	12
30.63	57
33.99	87
36.54	60
38.44	38
48.13	15
48.40	54
56.63	20
57.52	21
66.58	12
69.87	10

Crystal structure
```
data_CaAsAu
_cell_length_a 4.8187
_cell_length_b 6.4087
_cell_length_c 4.8190
_cell_angle_alpha 90.00
_cell_angle_beta 105.44
_cell_angle_gamma 90.00
_space_group_name_H-M_alt 'P 1 21 1'
_space_group_IT_number 4
_space_group_name_Hall 'P 2yb'
loop_
_atom_site_label
_atom_site_fract_x
_atom_site_fract_y
_atom_site_fract_z
Ca1 0.1533 0.0000 0.3443
As1 0.2459 0.4999 0.2566
Au1 0.4953 0.2499 0.9952
```

Computed powder diffractogram
Compound: Mg3As
Radiation: Cu Kα
Structure: DFT lattice parameters and positions (GGA-PBE)
Neutral-atom scattering factors, no anomalous dispersion.

Main lines, sorted by position (5 to 70 degrees two-theta):
2θ (°)	intensity
17.87	59
20.48	22
33.58	25
34.37	12
35.10	100
36.19	92
41.27	63
41.64	31
45.03	11
46.49	10
58.30	11
60.07	40

Crystal structure
```
data_Mg3As
_cell_length_a 6.0540
_cell_length_b 8.6750
_cell_length_c 3.1655
_cell_angle_alpha 90.00
_cell_angle_beta 90.00
_cell_angle_gamma 90.00
_space_group_name_H-M_alt 'C m m m'
_space_group_IT_number 65
_space_group_name_Hall '-C 2 2'
loop_
_atom_site_label
_atom_site_fract_x
_atom_site_fract_y
_atom_site_fract_z
Mg1 0.0000 0.0000 0.0000
Mg2 0.2500 0.2500 0.5000
As1 0.0000 0.5000 0.0000
```

Computed powder diffractogram
Compound: CaPu2F7
Radiation: Cu Kα
Structure: DFT lattice parameters and positions (GGA-PBE)
Neutral-atom scattering factors, no anomalous dispersion.

Main lines, sorted by position (5 to 70 degrees two-theta):
2θ (°)	intensity
15.87	85
23.90	40
25.12	100
25.54	79
28.35	44
31.28	53
32.99	53
43.99	65
45.66	53
47.05	35
50.67	33
61.23	24

Crystal structure
```
data_CaPu2F7
_cell_length_a 4.1171
_cell_length_b 4.1171
_cell_length_c 33.5023
_cell_angle_alpha 90.00
_cell_angle_beta 90.00
_cell_angle_gamma 120.00
_space_group_name_H-M_alt 'R -3 m'
_space_group_IT_number 166
_space_group_name_Hall '-R 3 2"'
loop_
_atom_site_label
_atom_site_fract_x
_atom_site_fract_y
_atom_site_fract_z
Ca1 0.0000 0.0000 0.0000
Pu1 0.0000 0.0000 0.4314
F1 0.0000 0.0000 0.0691
F2 0.0000 0.0000 0.2226
F3 0.0000 0.0000 0.3552
F4 0.0000 0.0000 0.5000
```

Computed powder diffractogram
Compound: Na3Sn2Bi2
Radiation: Cu Kα
Structure: DFT lattice parameters and positions (GGA-PBE)
Neutral-atom scattering factors, no anomalous dispersion.

Main lines, sorted by position (5 to 70 degrees two-theta):
2θ (°)	intensity
10.86	44
19.08	66
20.19	63
21.31	88
21.83	77
31.23	57
33.12	79
33.32	100
33.79	87
34.62	38
37.98	61
40.19	39

Crystal structure
```
data_Na3Sn2Bi2
_cell_length_a 5.7282
_cell_length_b 9.1365
_cell_length_c 16.2863
_cell_angle_alpha 90.00
_cell_angle_beta 90.00
_cell_angle_gamma 90.00
_space_group_name_H-M_alt 'P b c m'
_space_group_IT_number 57
_space_group_name_Hall '-P 2c 2b'
loop_
_atom_site_label
_atom_site_fract_x
_atom_site_fract_y
_atom_site_fract_z
Na1 0.1891 0.0495 0.1418
Na2 0.2814 0.7100 0.2500
Sn1 0.3166 0.0999 0.5561
Bi1 0.1897 0.7500 0.0000
Bi2 0.2334 0.1334 0.7500
```

Computed powder diffractogram
Compound: Zr5Cd2
Radiation: Cu Kα
Structure: DFT lattice parameters and positions (GGA-PBE)
Neutral-atom scattering factors, no anomalous dispersion.

Main lines, sorted by position (5 to 70 degrees two-theta):
2θ (°)	intensity
33.81	32
34.98	67
36.40	100
37.49	42
38.28	29
40.36	59
43.32	30
46.12	15
59.53	14
65.31	16
66.03	17
68.88	15

Crystal structure
```
data_Zr5Cd2
_cell_length_a 10.1767
_cell_length_b 10.1767
_cell_length_c 3.1057
_cell_angle_alpha 90.00
_cell_angle_beta 90.00
_cell_angle_gamma 90.00
_space_group_name_H-M_alt 'P 4/m b m'
_space_group_IT_number 127
_space_group_name_Hall '-P 4 2ab'
loop_
_atom_site_label
_atom_site_fract_x
└──

Neutral-atom scattering factors, no anomalous dispersion.
Neutral-atom scattering factors, no anomalous dispersion.
Neutral-atom scattering factors, no anomalous dispersion.
Neutral-atom scattering factors, no anomalous dispersion.
Neutral-atom scattering factors, no anomalous dispersion.